[Data]
<<<
The following is a DFT calculation (ωB97M-V with the def2-TZVPD basis set) of a cluster of 10 separate species, C26H54N2O28 in total in a non-equilibrium geometry.

Computed properties:
* F_max: 1.45 eV Å⁻¹
* highest occupied orbital energy: -10.32 eV
* total charge: 0
* energy: -3239.17010 Eh
* energy above the lowest of the compared OMol25 structures with the same formula, charge and spin: 0.0 kJ/mol
* LUMO level: -0.014 Ha

CARTESIAN COORDINATES (ANGSTROEM)
C 4.80 2.47 -5.84
N 3.87 1.66 -5.02
O 2.73 1.51 -5.40
O 4.33 1.16 -4.01
H 5.80 2.08 -5.71
H 4.72 3.52 -5.58
H 4.53 2.36 -6.89
C -3.89 -0.68 3.38
N -2.42 -0.64 3.27
O -1.82 -1.68 3.08
O -1.90 0.45 3.36
H -4.21 -1.71 3.31
H -4.27 -0.13 2.51
H -4.23 -0.22 4.30
C -1.23 0.61 0.44
O -1.04 0.30 -0.95
C 0.20 -0.02 -1.31
O 1.14 -0.11 -0.57
O 0.21 -0.20 -2.62
C 1.42 -0.69 -3.22
H -0.56 1.44 0.64
H -1.00 -0.25 1.06
H -2.26 0.92 0.58
H 1.72 -1.60 -2.69
H 2.21 0.04 -3.17
H 1.14 -0.84 -4.26
C 0.83 3.54 -0.30
O -0.52 3.75 -0.62
C -1.01 3.54 -1.84
O -2.15 3.72 -2.13
O -0.06 3.09 -2.68
C -0.54 2.60 -3.92
H 0.98 3.72 0.76
H 1.49 4.26 -0.80
H 1.18 2.53 -0.53
H 0.29 2.14 -4.45
H -0.94 3.41 -4.53
H -1.31 1.84 -3.77
C -0.73 -4.06 -2.89
O -0.24 -5.34 -3.30
C -1.19 -6.20 -3.64
O -2.38 -6.01 -3.58
O -0.61 -7.32 -4.07
C -1.50 -8.35 -4.45
H 0.13 -3.47 -2.59
H -1.31 -4.18 -1.97
H -1.35 -3.60 -3.65
H -2.26 -8.02 -5.15
H -1.99 -8.78 -3.58
H -0.89 -9.11 -4.94
C 1.93 -2.11 1.94
O 2.74 -2.06 3.12
C 2.48 -2.98 4.04
O 1.77 -3.94 3.90
O 3.14 -2.66 5.16
C 2.86 -3.48 6.29
H 0.89 -2.33 2.23
H 2.26 -2.93 1.31
H 2.03 -1.16 1.45
H 3.65 -3.23 6.99
H 2.89 -4.53 6.00
H 1.89 -3.24 6.71
C -4.58 -1.96 -0.40
O -4.83 -0.95 -1.36
C -4.77 0.32 -0.94
O -4.48 0.70 0.16
O -5.06 1.09 -1.97
C -5.24 2.48 -1.68
H -3.70 -2.54 -0.69
H -5.42 -2.66 -0.41
H -4.40 -1.54 0.59
H -6.11 2.62 -1.05
H -5.35 3.00 -2.63
H -4.37 2.89 -1.17
C 1.47 1.35 3.57
O 0.61 1.33 4.68
C 1.19 1.17 5.86
O 2.35 0.94 6.05
O 0.26 1.27 6.81
C 0.72 1.19 8.14
H 2.28 2.08 3.69
H 0.89 1.62 2.69
H 1.92 0.37 3.40
H 0.01 1.68 8.79
H 1.70 1.67 8.23
H 0.88 0.15 8.42
C -2.99 3.43 1.49
O -4.25 3.93 1.08
C -5.09 4.24 2.06
O -4.88 4.17 3.24
O -6.24 4.62 1.50
C -7.14 5.30 2.39
H -2.53 2.99 0.62
H -3.04 2.64 2.25
H -2.35 4.19 1.94
H -6.61 6.06 2.97
H -7.66 4.60 3.04
H -7.86 5.80 1.75
C 8.30 0.54 -3.10
O 7.30 -0.48 -2.98
C 6.85 -0.68 -1.75
O 7.25 -0.13 -0.76
O 5.88 -1.60 -1.72
C 5.34 -2.15 -2.91
H 9.24 0.18 -2.68
H 7.99 1.44 -2.59
H 8.44 0.73 -4.16
H 5.18 -1.38 -3.67
H 4.42 -2.66 -2.66
H 6.03 -2.87 -3.36



The following is a DFT calculation (ωB97M-V with the def2-TZVPD basis set) of a cluster of 3 separate species, C26H55Br2N5O13P3 in total in a non-equilibrium geometry.

Computed properties:
* F_max: 7.18 eV Å⁻¹
* highest occupied orbital energy: -11.32 eV
* total charge: +1
* energy: -8447.51119 Eh
* LUMO level: -0.137 Ha

CARTESIAN COORDINATES (ANGSTROEM)
C 3.77 0.00 -0.96
C 2.67 0.97 -0.51
C 1.75 0.37 0.53
O 2.07 -0.54 1.24
O 0.48 0.96 0.60
C -0.45 0.15 -0.12
C -1.12 -0.84 0.83
C -2.54 -1.24 0.48
C -3.52 -0.21 -0.05
P -3.87 1.36 0.88
N -5.24 1.40 1.59
O -3.78 2.56 -0.18
O -2.75 1.61 2.02
N -4.63 -1.13 -0.38
C -5.80 -0.62 -1.02
Br -5.69 0.71 -2.37
C -6.99 -1.08 -0.64
C -8.31 -0.61 -1.20
Br -7.12 -2.41 0.73
C -4.03 -2.23 -0.99
N -4.63 -2.94 -1.95
N -2.82 -2.35 -0.46
N -1.78 -2.99 -1.13
C -1.97 -4.44 -1.38
C -1.30 -2.24 -2.23
C 0.10 -2.60 -2.71
O -1.91 -1.34 -2.76
H 3.42 -0.68 -1.73
H 4.58 0.58 -1.41
H 4.22 -0.55 -0.13
H 2.04 1.19 -1.38
H 3.08 1.90 -0.10
H 0.16 -0.42 -0.84
H -1.13 0.76 -0.72
H -0.53 -1.75 0.99
H -1.17 -0.36 1.81
H -2.99 -1.59 1.42
H -3.20 0.12 -1.06
H -5.73 0.52 1.44
H -3.21 2.34 -0.93
H -1.86 1.68 1.62
H -9.07 -1.36 -0.95
H -8.27 -0.53 -2.28
H -8.63 0.32 -0.72
H -4.90 -3.90 -1.88
H -4.79 -2.48 -2.83
H -1.31 -5.00 -0.70
H -1.61 -4.69 -2.38
H -2.98 -4.79 -1.21
H 0.55 -3.39 -2.10
H 0.74 -1.72 -2.63
H 0.10 -2.91 -3.76
O -2.72 5.40 6.79
P -2.08 5.74 5.49
O -0.77 6.61 5.88
C 0.34 5.95 6.51
C 1.17 5.16 5.51
O -3.06 6.95 4.98
C -4.39 7.10 5.48
C -4.44 8.14 6.58
>>>
[Brief]
Repeat only the last part of the listing further above, starting with the line that has "-3.70 -2.54".
[Reply]
H -3.70 -2.54 -0.69
H -5.42 -2.66 -0.41
H -4.40 -1.54 0.59
H -6.11 2.62 -1.05
H -5.35 3.00 -2.63
H -4.37 2.89 -1.17
C 1.47 1.35 3.57
O 0.61 1.33 4.68
C 1.19 1.17 5.86
O 2.35 0.94 6.05
O 0.26 1.27 6.81
C 0.72 1.19 8.14
H 2.28 2.08 3.69
H 0.89 1.62 2.69
H 1.92 0.37 3.40
H 0.01 1.68 8.79
H 1.70 1.67 8.23
H 0.88 0.15 8.42
C -2.99 3.43 1.49
O -4.25 3.93 1.08
C -5.09 4.24 2.06
O -4.88 4.17 3.24
O -6.24 4.62 1.50
C -7.14 5.30 2.39
H -2.53 2.99 0.62
H -3.04 2.64 2.25
H -2.35 4.19 1.94
H -6.61 6.06 2.97
H -7.66 4.60 3.04
H -7.86 5.80 1.75
C 8.30 0.54 -3.10
O 7.30 -0.48 -2.98
C 6.85 -0.68 -1.75
O 7.25 -0.13 -0.76
O 5.88 -1.60 -1.72
C 5.34 -2.15 -2.91
H 9.24 0.18 -2.68
H 7.99 1.44 -2.59
H 8.44 0.73 -4.16
H 5.18 -1.38 -3.67
H 4.42 -2.66 -2.66
H 6.03 -2.87 -3.36



The following is a DFT calculation (ωB97M-V with the def2-TZVPD basis set) of a cluster of 3 separate species, C26H55Br2N5O13P3 in total in a non-equilibrium geometry.

Computed properties:
* F_max: 7.18 eV Å⁻¹
* highest occupied orbital energy: -11.32 eV
* total charge: +1
* energy: -8447.51119 Eh
* LUMO level: -0.137 Ha

CARTESIAN COORDINATES (ANGSTROEM)
C 3.77 0.00 -0.96
C 2.67 0.97 -0.51
C 1.75 0.37 0.53
O 2.07 -0.54 1.24
O 0.48 0.96 0.60
C -0.45 0.15 -0.12
C -1.12 -0.84 0.83
C -2.54 -1.24 0.48
C -3.52 -0.21 -0.05
P -3.87 1.36 0.88
N -5.24 1.40 1.59
O -3.78 2.56 -0.18
O -2.75 1.61 2.02
N -4.63 -1.13 -0.38
C -5.80 -0.62 -1.02
Br -5.69 0.71 -2.37
C -6.99 -1.08 -0.64
C -8.31 -0.61 -1.20
Br -7.12 -2.41 0.73
C -4.03 -2.23 -0.99
N -4.63 -2.94 -1.95
N -2.82 -2.35 -0.46
N -1.78 -2.99 -1.13
C -1.97 -4.44 -1.38
C -1.30 -2.24 -2.23
C 0.10 -2.60 -2.71
O -1.91 -1.34 -2.76
H 3.42 -0.68 -1.73
H 4.58 0.58 -1.41
H 4.22 -0.55 -0.13
H 2.04 1.19 -1.38
H 3.08 1.90 -0.10
H 0.16 -0.42 -0.84
H -1.13 0.76 -0.72
H -0.53 -1.75 0.99
H -1.17 -0.36 1.81
H -2.99 -1.59 1.42
H -3.20 0.12 -1.06
H -5.73 0.52 1.44
H -3.21 2.34 -0.93
H -1.86 1.68 1.62
H -9.07 -1.36 -0.95
H -8.27 -0.53 -2.28
H -8.63 0.32 -0.72
H -4.90 -3.90 -1.88
H -4.79 -2.48 -2.83
H -1.31 -5.00 -0.70
H -1.61 -4.69 -2.38
H -2.98 -4.79 -1.21
H 0.55 -3.39 -2.10
H 0.74 -1.72 -2.63
H 0.10 -2.91 -3.76
O -2.72 5.40 6.79
P -2.08 5.74 5.49
O -0.77 6.61 5.88
C 0.34 5.95 6.51
C 1.17 5.16 5.51
O -3.06 6.95 4.98
C -4.39 7.10 5.48
C -4.44 8.14 6.58